Monday, January 26, 2009

The BIG 30

So I've been delaying this post for about 2 weeks now.

I think it's time to accept it and move on. :)

I turned the BIG THIRTY!!!

Maybe I just don't want to let go of the entire week of ongoing celebrating that occurred cause it was AWESOME!!!

Johnny called me to bring him something at the fire station that he had forgotten at home and when I got there my sister was hiding behind the fire truck. She lives in Canada and I had just talked to her the day before so I was floored. It was one of the best surprises EVER! During the week my sister and I had gone out for Mani/Pedis and when I got home there were all my friends and family........SURPRISE!!!

Johnny had planned a surprise birthday party for me and did such a great job. Thanks to everyone that came and helped out. It was such a memorable evening. He had invited a bunch of people from different parts of my life and it was so great to see everyone.

At the party he played a montage that he had put together for me. If you have nothing better to do than watch the last 30 years of my life you should watch at

An isolated molecule of C3H5NO3, computed with ωB97M-V with the def2-TZVPD basis set.

Last columns: bonded neighbours and bond lengths (Å).
CARTESIAN COORDINATES (ANGSTROEM)
1 N 2.42 1.32 1.23  C2 1.167
2 C 1.37 0.86 1.02  N1 1.167, C3 1.402
3 C 0.10 0.26 1.02  C2 1.402, C4 1.564, H8 1.120, H9 1.188
4 C -0.38 -0.17 -0.41  C3 1.564, O5 1.374, O6 1.340, O7 1.451
5 O -0.37 0.94 -1.22  C4 1.374, H10 0.974
6 O 0.32 -1.21 -0.89  C4 1.340, H11 1.059
7 O -1.72 -0.72 -0.34  C4 1.451, H12 0.951
8 H 0.08 -0.72 1.56  C3 1.120
9 H -0.69 0.98 1.54  C3 1.188
10 H -0.90 1.09 -2.02  O5 0.974
11 H 1.36 -0.99 -0.90  O6 1.059
12 H -1.59 -1.63 -0.60  O7 0.951

Computed properties:
- Maximum force: 5.16 eV Å⁻¹
- Energy: -397.76226 Eh
- Relative energy (zero: lowest compared OMol25 entry of this formula, charge and spin): 46.7 kcal/mol
- Structure (SMILES): N#CCC(O)(O)O
- Kohn-Sham gap: 11.6021 eV


[1]
# C31H31F35NO6S

A cluster of 5 separate species, C31H31F35NO6S in total (the ωB97M-V functional and the def2-TZVPD basis, OMol25).

Last column: Löwdin charge in e.
Atoms and positions in Å:
H -1.70974 3.70171 -1.46223  0.05
H 1.10546 -5.69983 -0.80003  0.14
F 1.98296 -0.82008 -2.77563  0.10
O 4.16981 3.80132 -3.36751  -0.17
H 1.22151 -8.11210 4.32135  0.15
F 2.39270 -4.40007 3.65162  0.15
C 0.12639 4.82021 -3.38925  -0.01
C 2.27164 2.55057 1.61310  -0.52
C 1.79083 0.74540 3.12304  -0.03
H 1.25325 0.37305 -4.10329  0.10
C 1.81067 3.14681 -3.81400  -0.04
F -6.28907 3.34132 3.35193  0.14
H 4.79913 2.97174 -1.54118  0.12
C -3.28922 3.50906 -3.08862  -0.24
H 0.84119 4.15385 1.25814  0.18
C -2.79873 3.48744 -1.57983  -0.50
C 2.21934 -2.16849 -2.74204  -0.50
H -2.58481 5.45943 -3.86006  0.12
H 1.42052 -1.49233 1.30606  0.15
C 3.30146 2.71844 -3.66866  -0.12
H -0.46232 -3.84524 -3.49882  0.15
S -3.11996 1.77457 -0.91732  0.73
F 1.61974 3.48576 -0.46653  0.05
F 2.83441 -4.89603 -1.37255  0.09
C -4.33644 2.48606 5.81451  -0.44
F -0.51963 0.83498 2.65417  0.13
H -3.30869 2.46404 -3.48924  0.08
F 1.86415 -7.28105 0.39462  0.06
F -3.74963 4.56616 6.77566  0.10
C 4.27816 3.88721 -1.92278  -0.07
F 0.80913 -9.14034 0.02128  0.11
F 1.81746 -5.35170 -4.02060  0.13
H -6.36283 1.94631 5.15206  0.15
C 1.03565 -5.22721 -2.92423  -0.43
F 4.56252 -1.92156 -2.47614  0.10
C 1.57127 -8.48627 0.93059  -0.27
H -5.26189 0.63320 5.37812  0.15
F -4.84325 4.64473 4.90368  0.09
C -4.26344 3.22450 2.07244  -0.30
C 0.53489 -0.01089 2.63903  -0.43
F 0.23964 -5.45317 1.05650  0.09
H 0.15889 -4.01116 2.40948  0.18
C -5.44725 2.50234 2.72008  -0.52
N 1.41949 4.34328 -3.35153  0.20
H 3.32555 2.04095 -2.76153  0.14
F 0.92626 0.13380 0.27428  0.07
C 0.90001 -4.58953 1.85233  -0.26
F 0.26489 -0.96506 3.57492  0.11
H -5.65281 4.02297 6.61058  0.18
C 0.85173 2.22950 -4.41802  -0.18
O 1.21369 -2.75651 -3.49944  0.04
F 1.00726 6.90457 -2.52501  0.13
H 3.26858 3.92453 -1.43967  0.06
C 0.81910 -8.37360 2.25893  -0.43
F 0.09082 2.42866 0.65822  0.09
C 0.44377 -3.80455 -2.89226  -0.02
H 2.50099 -9.04792 1.05525  0.18

It was so thoughtful and brought me so much joy.

Then on my actual birthday we went and stayed at Caesars Palace and had dinner then after dinner he surprised me with Salsa Dancing lessons. It was so FUN! 
Too bad I didn't get any video of us dancing to post, it would have been hilarious.

Thanks so much to everyone that helped me celebrate. 


Wednesday, December 31, 2008

Last day of 2008 :(


I don't know why but I HATE New Years Eve. 
Maybe because Johnny has worked almost every New Years since we've met, maybe because it reminds me of how fast the time goes by, maybe it's because I think it's overrated cause everyone stays up till midnight and yells "Happy New Year" and then thats it it's over, (I mean listen to the New Years Eve music it's so depressing)maybe it's cause I think of a good year ending instead of a good one starting.
I don't exactly know the reason but I don't enjoy this "holiday" at all. 
I know this is a lame post and it's pessimistic but it is what it is.
I am going to work on an attitude adjustment and try and enjoy myself tonight and have fun. I should consider it a pre New Years resolution and I will have THE BEST TIME!!!!
I hope everyone has a fun and safe night. 

Wednesday, December 24, 2008

Happy Holidays

We hope all our friends and family have a safe and happy holiday.

Saturday, December 20, 2008


 I grew up in CANADA so I was so excited for the girls to wake up to snowflakes and Tobogganing for you Americans aka Sledding. :)

                      Time for some Hot Chocolate and a movie. :)